I felt a little better. I tried not to think about it that night. I was exhausted after the day and I really wanted to sleep, but it played over and over in my mind. There was nothing I wanted more than my own baby, isn’t this what this had all been about, the perfect home, the perfect husband; all to start the perfect family... now, that might never happen.
Chapter 27 – Playing with fire
It can be easy to take something for granted. We all do it. I had taken for granted that when I made the decision; having a child would be natural and easy. I wasn’t naive enough to think it would happen overnight, but I took for granted that if Brandon and I made the decision it was time to start our family that we would have fun for a couple of months trying and then, we would get pregnant. I took it so much for granted that I really hadn’t given it much thought. It was a given as far as I had been concerned. How wrong was I!
I thought about Chloe and her pregnancy or even her pregnancies. Neither was planned but she and Anthony were so excited. They still weren’t entirely sure as to how it happened again. Anthony put it down to his super sperm. I thought about all the unplanned teenage pregnancies, I thought about all the pregnancies that resulted from rape, I thought about a lot of things that only made me feel worse.
Brandon and I discussed at length what each option meant to us. We talked about all the options open to us. We talked about everything. Our lives became consumed by ‘what if’ and ‘should we’ and the rest of it. One thing became very clear by the end. We both wanted children. The only snag; I wanted them now and Brandon wanted to wait. I was shocked. When Brandon said he thought we should wait; ‘three years was nothing’ he said. ‘Let’s enjoy our marriage and when we’re a little older start a family’. You could have knocked me over; I was sure, like me, he wanted to have kids straight away under the circumstances. I was sure, now that things had changed, that because it wasn’t a certainty any longer, that he would want to do everything he could to have a child with me.
I loved him so much that all I wanted to be able to do; was give him a son or daughter. I wanted that for myself too. I wanted to create something so unique, so perfect that could only come from the two of us and it scared me, it scared me so much, how much I wanted it and how I very possibly would never be able to get to have it. I was on an emotional rollercoaster. One minute it was crystal clear what I would do, the next, I was so unsure and I was so very devastated that it didn’t seem as important to him.
Brandon could be very determined when he wanted to be and right now he did not want to have a baby and he was damn set on bringing me around to his way of thinking. The problem was, he could be very persuasive when he wanted to be. This made it harder for me to come to a decision. Each day I took to come to a decision felt like I was stealing from us, stealing from our potential child’s life, or stealing from the life we could have, if all ‘this’ was behind us. Two weeks passed before I made contact with Dr. Jones again. I phoned him on a Thursday afternoon.
‘Hello Dr. Jones, this is Faye Donohue, I met with you 2 weeks ago?’
‘Aw yes Faye, how are you?’
‘I’m good Doctor, thank you. We’ve come to a decision. Do I need to make an appointment with you to discuss or can we do it over the phone?’
‘Well that depends on what you have decided to do.’
‘We’ve decided… we’ve decided to try for a baby.’
‘Congratulations Faye, I am glad you have made a decision.’
‘Em thank you.’ I felt the ‘congratulations’ was somehow hollow or even redundant; I didn’t feel like it belonged there.
‘Right well as discussed, I suggest we start you on a 6 month course of Metformin and take it from there. If you like, I can post you out a prescription for the dose, save you coming in here to collect it?’
‘Yes, that would be great, if you could.’
I was relieved at not having to go back to the hospital. Already trying for a baby was too clinical. Besides, how would I explain Brandon’s absence? We still hadn’t reached a decision. Brandon had asked for 6 months to think about it and I thought in the mean time I could try the diabetic medication the Doctor had mentioned, he didn’t seem to think it would work; at least, we would be ready for the next step then when Brandon’s six months were up.
‘No problem. Right well, we’ll start you on that and review in 6 months’ time. I’ll pass you back to my secretary now if you would make an appointment to come and see me in 6 months and we’ll see how you are going. In the meantime if you do become pregnant obviously please inform Dr. Greene and myself.’ From his tone, he didn’t seem hopeful that I would become pregnant in the next six months.
‘Oh, right. I will. Thanks.’ I was beginning to wonder if I was doing the right thing at all.
Making the appointment, I hung up. I felt strange, like I had just mail ordered a baby.
The prescription arrived the following day and I filled it on my way home from work. I was to take 3 tablets a day with meals. I started taking them the following day. Initially, everything was fine, but after a few days I began to feel quite ill. I was nauseous all the time. It came in waves, and though I was never sick; I felt rancid with it. Reading the leaflet that came in the box, it was listed as a side effect. I tried to make the best of it and I was rewarded (if you can call it that) a month later when a familiar dull ache arrived, which was followed a few days later by my period.
I’d never been so damn happy to see ‘Aunt Flow’ in my damn life. It was probably the first and only period I had ever celebrated. While bleeding meant that I wasn’t pregnant, I took it as a good sign that things were working again and I persevered with the tablets despite the nausea. Hiding it from Brandon was difficult but he didn’t seem to have noticed anything.
Brandon and I were at it like rabbits, any chance I could, I would ‘jump on him’! I had no cycle to go by and I didn’t know if it would be a long or short cycle so to cover all bases we had sex all the time! Well we were newlyweds so Brandon never gave it a second thought, or at least he never said anything; which was a relief. If he had challenged me on it, I wouldn’t know how to react. If I got pregnant before ‘his’ 6 months were up I would just put it down to a miracle, they do happen – right? I needn’t have worried; nothing happened. No period, no pregnancy and I was still sick as a dog most of the time. Mine and Brandon’s six months were up and the date for my appointment with Dr. Jones loomed. I choose my moment well to talk to Brandon about it. Friday evening, just after his favourite meal and second glass of wine; he was mellow, relaxed but alert enough to make a definite decision – I hoped.
The text is interrupted by calculated molecules:
~~~
Formula: C39H56IMnN4O2S2Se
Source: the OMol25 dataset
Level of theory: ωB97M-V/def2-TZVPD

As for the charge: -1. Its relative energy (zero: lowest compared OMol25 entry of this formula, charge and spin) is 12.6 kJ/mol. Its largest force on an atom is 0.238 eV Å⁻¹. For the frontier orbital gap (alpha / beta), the calculation gives 0.25658 / 0.26130 Ha. The expectation value of S² is 8.756. As for the calculated total energy: -6536.0234 hartree. As for the spin multiplicity: 6.

```
106
C39H56IMnN4O2S2Se ωB97M-V/def2-TZVPD
Mn -0.230 0.324 -0.416
C 4.031 -5.849 -2.548
C 4.477 -4.407 -2.822
C 5.663 -4.102 -1.906
C 4.948 -4.295 -4.279
C 3.312 -3.449 -2.579
C 3.378 -2.390 -1.690
C 2.286 -1.563 -1.487
Se 2.489 -0.045 -0.319
C 2.345 -0.923 1.383
C 3.491 -1.542 1.854
C 3.472 -2.279 3.023
C 2.259 -2.326 3.696
C 1.085 -1.705 3.281
C 1.106 -0.972 2.061
O 0.026 -0.409 1.533
C -0.144 -1.967 4.176
C -0.466 -3.471 4.159
C 0.167 -1.530 5.619
C -1.416 -1.225 3.772
C 4.672 -3.066 3.542
C 5.023 -2.613 4.966
C 5.906 -2.871 2.660
C 4.324 -4.561 3.554
C 1.050 -1.751 -2.148
O 0.022 -0.986 -1.894
C 0.990 -2.800 -3.113
C 2.117 -3.595 -3.285
C -0.197 -3.005 -4.079
C -0.426 -4.490 -4.399
C -1.547 -2.471 -3.582
C 0.147 -2.269 -5.384
H 4.864 -6.542 -2.700
H 3.221 -6.147 -3.218
H 3.674 -5.952 -1.520
H 6.466 -4.818 -2.096
H 5.378 -4.182 -0.855
H 6.060 -3.100 -2.080
H 5.774 -4.987 -4.470
H 5.288 -3.281 -4.495
H 4.142 -4.533 -4.975
H 4.283 -2.188 -1.132
H 4.395 -1.450 1.267
H 2.213 -2.921 4.600
H 0.372 -4.070 4.517
H -0.694 -3.803 3.145
H -1.330 -3.675 4.798
H 1.006 -2.074 6.051
H -0.706 -1.705 6.254
H 0.406 -0.464 5.651
H -1.761 -1.509 2.780
H -1.258 -0.146 3.801
H -2.203 -1.467 4.493
H 5.288 -1.554 4.978
H 5.871 -3.187 5.352
H 4.183 -2.755 5.647
H 6.207 -1.822 2.616
H 5.725 -3.219 1.640
H 6.741 -3.446 3.066
H 3.471 -4.767 4.202
H 5.174 -5.149 3.912
H 4.062 -4.899 2.550
H 2.070 -4.380 -4.031
H -0.685 -5.043 -3.497
H 0.437 -4.976 -4.852
H -1.256 -4.581 -5.104
H -1.826 -2.917 -2.624
H -2.312 -2.741 -4.317
H -1.545 -1.395 -3.450
H 1.062 -2.668 -5.829
H 0.301 -1.205 -5.192
H -0.666 -2.375 -6.109
S -2.837 -0.203 -0.426
C -3.152 0.957 0.788
N -4.207 1.778 0.660
C -4.472 2.895 1.555
C -3.167 3.362 2.178
C -2.461 2.176 2.806
N -2.374 1.081 1.851
H -4.675 1.720 -0.228
H -5.186 2.596 2.330
H -4.928 3.694 0.970
H -3.361 4.125 2.933
H -2.526 3.784 1.403
H -2.986 1.841 3.708
H -1.442 2.443 3.088
H -1.563 0.460 1.905
I -0.400 3.077 -0.623
N -0.674 -3.050 0.398
C -0.127 -4.249 0.127
S 1.312 -4.750 0.796
N -0.908 -5.005 -0.715
C -0.653 -6.304 -1.193
C 0.596 -6.663 -1.689
C 0.791 -7.934 -2.201
C -0.253 -8.850 -2.249
C -1.502 -8.482 -1.776
C -1.701 -7.216 -1.243
H -0.127 -2.388 0.930
H -1.334 -2.623 -0.238
H -1.861 -4.690 -0.816
H 1.392 -5.935 -1.678
H 1.770 -8.203 -2.581
H -0.093 -9.840 -2.658
H -2.328 -9.182 -1.811
H -2.674 -6.933 -0.856
```

Atom charges from the Löwdin analysis, given in e for atoms 1 to 6: Mn 0.28; C -0.06; C -0.55; C -0.07; C -0.05; C -0.18

***

Formula: C39H57N5P2SSc
~~~
‘Brandon, six months are nearly up.’
‘Six months? What do you mean?’
‘Well you asked for six months to decide on the baby issue, their nearly up, my appointment is next week with the Dr. Jones.’
‘Appointment, I didn’t know you had made an appointment?’
‘Of course you did, I made it when you asked for the six months; I had to say something to the Doctor.’ A small white lie, Brandon hadn’t known about the appointment, but that didn’t really matter.
‘Oh right...’ Silence… ‘God Faye, I don’t know. I hadn’t really thought about it.’
Anger boiled to the surface, he hadn’t thought about it, how could he not think about it! It was all I had thought about. Anger wouldn’t help right now, if I got angry or upset the conversation would be lost; I had to stay calm, at all costs.
‘You haven’t? At all...?’
I let the end of the sentence trail off, to show I was upset by this but that I was staying calm. He straightened himself up, not expecting such a calm response.
‘What I mean is Faye... of course I have thought about it... I just haven’t come to a decision.’
‘Isn’t it a decision we should come to together?’
I felt like a traitor saying this; knowing what I had been doing for the past six months and the fact that I was still going to continue with the appo
intments without Brandon if he refused to come..
‘Of course...’ Brandon faltered, not quite sure where this was all headed. ‘Em...’
I waited, it killed me. I wanted to scream and shout; I had been shocked when he had asked for six months, bowled over. But I was sure in agreeing to it that when the months were up, he would say yes. In fact, it would be him making the appointment; I feared I was wrong, very wrong indeed.
‘Faye, it’s just I am not sure it is the right time for us; we’re still young, plenty of time.’
‘We are young, youth is what is on our side and normally, yes we would have plenty of time, but we don’t or at least I don’t.’
‘I’m not exactly settled in my career yet, I’m not sure if it’s such a secure time. Besides, at some point, I would like to look at going back to New York, perhaps try the CNN internship again, if they would take me back after resigning.’
I knew he would pull out this big gun. Show me what he had given up for me.
‘I definitely think you should try that and we’ll all move there, as a family. Just because we have kids doesn’t mean we still can’t do the things we want; life doesn’t just end.’
‘Kids are costly, not to mention what IVF might cost.’
‘That’s true, IVF and kids won’t come cheap but we’re both earning good money and we don’t have a huge mortgage, we could sell your apartment too; if it came to that.’
He stayed quiet, the cogs in his brain turning.
‘Brandon, do you not want to have children with me?’
I feared his answer the most; because right now, I couldn’t honestly say what his answer would be and whatever his mouth spoke I wondered would that actually be the truth.
‘Of course I do, I just want to be sure it’s the right time.’
‘When would be a right time, in your eyes?’
He says nothing for what seems like hours, staying quiet takes every ounce of strength in me. His phone starts to buzz in his pocket. He reaches for it. My eyes bore into his head as he looks at the screen. He pales.
‘Who is it?’
‘Eh, no one.’
‘You look like you’ve seen a ghost? What’s wrong?’
‘Nothing’s wrong.’
‘What aren’t you answering it?’
He takes a moment too long to reply.
‘Cause we’re having a serious conversation here, trying to decide our future. This call can wait.’
‘Are you sure, you look like you’re about to be sick?’
‘I’m fine. Just hoping what I am about to say next is the right move for us.’
‘What are you going to say?’
‘Well… an appointment can’t hurt, to see what’s involved.’ I looked across the table at him, not sure that he actually said it. He smiles broadly. ‘Let’s have a baby now.’
Perhaps I should have been more sceptical but I leapt up and smothered him in kisses.
‘Are you sure, you’re really sure?’
‘Yes, but Faye, you know it could take a while. Please don’t be too upset if it doesn’t happen straight away.’
‘I won’t, I won’t!!’ I knew that was a promise I probably shouldn’t be making, but right now I was too happy to think straight.
Sitting in Dr. Jones’s office a week later, I was relieved that I had decided to undertake the 6 months course of metformin ‘under the radar’, so to speak; now things could really get started, or at least that’s what I thought.
‘Faye, at this point I am going to suggest that you see Dr. Fraser, he is based here at the Clinic, and he is a Gynaecologist and a Fertility Doctor. He will be better placed to continue with appropriate courses of action than I.’
Dr. Jones seemed almost relieved to be able to pass me on; I on the other hand, was frustrated that nothing more than a referral was going to come out our brief meeting. I made an appointment to see Dr. Fraser and like Dr. Jones before him, he too had a waiting list and so I waited for the appointment to come around.
Seven weeks later with my legs in stirrups and his finger in my vagina; I tried to make small talk with the good Doctor as he asked me if I had any trouble parking, while he examined me. Finishing up, he invited me to get dressed and take a seat.
‘Faye, I’ve had a look through your file here. I see that you had one successful period on the course of Metformin in the first month and nothing since?’ he said looking right at me.
‘Yes that is correct.’ Thinking, why on earth do Doctors ask you to confirm everything?
‘Right, well I’ve taken some samples there and will send them off to be tested as well, I doubt they will throw up anything we don’t already know. In the meantime Faye, what you really need to do before we move any further is to lose some weight.’ He spoke very matter-of-factly.
I was so taken aback by that. No one in my whole life had ever told me I needed to lose weight before.
‘I would suggest you aim to lose 2 stone, preferably within the next 6 months. After which I think you should seriously consider IVF as an option. Right now, it would be too dangerous to consider because of your current weight. The risks are too high, especially if it were to be with twins, which can happen.’
I sat and stared at him. Lose weight. Another six months. Twins! My head was spinning again. I left his office, having made another appointment for six months’ time. I got home and I was deflated. Another six months of waiting. That would be over a year since we started. I felt crushed, destroyed and fat… I started crying. No, I started bawling.
Chapter 28 – Premature Labour
Losing weight is not easy. And I know there are those out there who will say; of course it’s not, if you have an attitude like that! But it’s not easy if you lack motivation and will power, which I did, in bucket loads. Logically you think, eat less, eat healthy, exercise more – bob’s your uncle! Sounds so easy – reality – I crave all the wrong foods, have an inherent dislike like of exercise and am plain lazy! I also had a huge mental block to the whole lose weight, get pregnant and put weight all back on again thing. Needless to say, I became very depressed about everything, about being fat, reproductively challenged, hairy and the emotional rollercoaster that came with it all. I went back to Dr. Greene to see if there was anything she could give me to help.
‘Faye, I understand where you are coming from but I don’t want to prescribe anti-depressants. It can be a slippery slope from there, once you start. That and they are also renowned for putting on weight.’ She was sympathetic. ‘Why don’t you consider speaking to someone Faye, about what you are going through, it might help? We have an excellent Councillor Onsite, here at the surgery who works Tuesdays and Thursdays.’ She said handing me a card.
‘Oh right, thanks.’ I said taking her card, slightly surprised at her suggestion. It’s something I hadn’t thought about, but it might actually help. I thought about it on the way home. Would therapy help? I spoke to Brandon about it when he got home that evening.
‘Faye, whatever will help you. You know I just want you to be ok.’ I could see he thought it was a good idea but was afraid to push it.
‘I know.’ Lately he had taken to biting his tongue a lot which was annoying me.
‘C’mere to me. I know this is hard on you. But I’m here if you need to talk.’ He mistook my mild irritation for uncertainty.
‘I know.’
‘It’s just lately you tell me what you think I want to hear and not what’s really on your mind or what I really need to hear!’ is what I said to myself silently.
‘Do you want to talk about it?’
I looked at him. I did want to talk about it, but did he really want to talk to me?
The high shrill of my phone interrupted him. I glanced at the clock on the bedside table it was 12.45am.
‘It’s very late for someone to be ringing.’
I picked up my phoned, Anthony’s name flashed on the screen.
‘Hello Anthony, is everything ok?’
, hi, sorry to call so late, it’s just, well Chloe has gone into labour, could you come to the hospital. Please, she is asking for you.’
‘But she isn’t due for another 6 weeks!’
‘I know.’ He sounded grave. ‘Can you come?’
‘Of course, I’ll leave now.’
I hung up and sprung out of bed.
‘I’m sorry Brandon, I know you were about to say something, but Chloe’s gone into labour and asking for me. Can we talk about this later?’
‘Sure, do you want me to come with you?’
‘No, you're grand, you’ve work tomorrow, I’ll text you to let you know what is going on.’ I’m almost sure I saw relief flood his face.
‘Ok, drive safe.’
‘I will.’ And with that I was gone.
Thoughts filled my mind on the car journey there; were Chloe and her Baby going to be ok? Why did Anthony sound so grave on the phone? I arrived at the hospital and was surprised to see Chloe’s mother there in the waiting room.
‘Faye, oh thank god you’re here.’
‘What’s happened, what’s going on Mrs. Jenner?’
She blushed, a deep plum. ‘I’m afraid it’s my fault. Well I got such a shock. I went around to see her, well to apologise, to make up. Families shouldn’t fight, especially when there are young kids involved. Well I thought, I had the wrong house, a strange woman answered, I was leaving and when I turned I saw Chloe in the window, I pushed passed the girl, I think I might have knocked her to the ground; it was the shock, of seeing Chloe, of seeing her pregnant, again! I’m afraid I shouted at her. At Chloe, well the shock, of me, of what I said – her waters broke. I didn’t mean it, I didn’t mean for this. Oh god. I’m so sorry.’
She buried her face in her hands and collapsed into a chair. Anthony walked down the corridor then, Ella in his arms.
‘Auntie ‘aye, auntie ‘aye’ her little pudgy arms outstretched to me, I enveloped her in a hug and drunk in her sweet baby smell.
The Meaning of Purple Tulips Page 15